Work order >
Transcribe the lines below up to the one that holds "-1.51549 -5.09998", that line included.

Contents >
~~~
(1)
56
Properties=species:S:1:pos:R:3:forces:R:3:nbo_charge:R:1 method="wB97M-V/def2-TZVPD" smiles="CCCCC[PH3]S(=O)(=O)F.COCCOC.COCCOC" e_tot_ha=-1806.25524 largest_force_ev_per_a=8.41
C -0.63227 2.69265 3.28994 0.220 -1.064 0.947 -0.65
C 0.58525 1.60187 3.44734 -0.049 -0.166 -1.571 -0.41
C 2.04718 2.15902 2.85729 0.101 -1.674 0.670 -0.44
C 2.90134 3.01918 3.95914 0.895 -0.672 -0.180 -0.43
C 3.23420 4.56645 3.53533 0.782 -0.153 1.809 -0.77
P 1.85539 5.46193 2.56537 3.668 -2.005 2.603 0.56
S 0.41521 6.59898 1.43578 -0.869 7.150 -4.338 1.80
O 0.25369 7.99871 2.10381 -0.134 -5.338 -1.789 -0.87
O 0.99084 6.73637 -0.00164 -2.415 -1.282 4.728 -0.87
F -1.10565 5.78753 1.41241 2.111 1.114 -0.005 -0.51
H -0.51691 3.47007 4.16344 -0.399 -1.189 -1.934 0.20
H -1.64799 2.10407 3.47870 2.085 1.462 -0.533 0.23
H -0.62188 3.16662 2.21657 -0.105 -0.795 2.222 0.22
H 0.67390 1.19139 4.55014 -0.069 0.967 -2.240 0.21
H 0.30258 0.68737 2.73404 0.625 1.859 1.650 0.21
H 2.67700 1.16644 2.65020 -1.367 2.223 0.253 0.23
H 1.90917 2.67329 1.81569 0.157 -0.904 2.031 0.20
H 3.95737 2.47898 4.09502 -2.345 1.159 -0.219 0.22
H 2.35980 2.90031 5.00359 1.042 0.655 -2.143 0.22
H 4.27436 4.68913 2.97230 -2.219 -0.455 0.999 0.23
H 3.36845 5.16819 4.55746 -0.236 -1.122 -2.119 0.23
H 0.81701 5.06866 3.48277 0.344 0.251 -0.639 0.04
H 2.52777 6.73183 2.85578 -1.092 -0.664 -0.695 0.09
H 2.21029 4.79083 1.33523 -0.719 0.597 0.448 0.05
C 2.58197 -1.74167 0.84525 -0.155 0.178 0.129 -0.26
O 1.99053 -0.62426 0.19188 0.060 -0.402 -0.178 -0.56
C 1.95504 -0.78417 -1.22890 -0.445 0.243 0.220 -0.09
C 0.55238 -1.16176 -1.71079 0.412 -0.398 -0.054 -0.09
O 0.18991 -2.47614 -1.27547 -0.041 0.396 0.294 -0.56
C -0.70992 -2.45028 -0.17368 0.111 -0.158 -0.090 -0.26
H 2.41128 -1.63948 1.92158 0.001 0.098 -0.178 0.19
H 2.13941 -2.68500 0.51270 0.043 0.043 -0.029 0.18
H 3.65869 -1.75251 0.66181 0.081 -0.116 -0.008 0.17
H 2.69601 -1.52412 -1.55921 -0.185 0.025 0.062 0.18
H 2.22845 0.18048 -1.66406 -0.013 0.011 -0.057 0.19
H 0.54880 -1.17737 -2.80547 0.026 0.047 0.012 0.19
H -0.18903 -0.42127 -1.38321 0.152 -0.086 0.053 0.18
H -1.69728 -2.11914 -0.50877 -0.072 0.068 0.098 0.17
H -0.35122 -1.79532 0.62539 -0.026 0.021 -0.057 0.18
H -0.79761 -3.46518 0.22229 0.060 0.080 -0.141 0.19
C -3.88280 -2.83571 -5.19165 0.209 -0.137 -0.177 -0.25
O -2.55016 -3.10657 -4.77213 -0.435 -0.016 0.263 -0.55
C -2.42284 -3.11892 -3.34767 0.378 -0.333 -0.294 -0.10
C -2.34082 -4.54924 -2.80943 -0.470 0.309 0.145 -0.09
O -3.58174 -5.24117 -2.98213 0.337 0.010 -0.342 -0.55
C -3.54301 -6.15383 -4.07293 -0.151 0.075 0.144 -0.25
H -3.94811 -3.02237 -6.26820 0.128 0.044 0.174 0.19
H -4.60530 -3.48120 -4.68405 0.033 0.051 0.030 0.18
H -4.12603 -1.78761 -5.00346 -0.131 0.058 0.030 0.17
H -3.24703 -2.56835 -2.87517 0.007 -0.175 -0.064 0.17
H -1.49193 -2.59896 -3.10744 -0.009 -0.083 0.058 0.20
H -2.14645 -4.50937 -1.73276 0.033 0.021 -0.055 0.18
H -1.51549 -5.09998 -3.27936 -0.127 0.147 -0.024 0.18
H -2.91915 -7.01455 -3.81450 0.048 -0.043 -0.108 0.17
H -3.16228 -5.68033 -4.98232 0.034 -0.017 0.050 0.18
H -4.56038 -6.50453 -4.26386 0.093 0.081 0.136 0.19

***

(2)
76
Properties=species:S:1:pos:R:3:forces:R:3:lowdin_charge:R:1 method="wB97M-V/def2-TZVPD" e_tot_ha=-2582.07101 charge=+1 largest_force_ev_per_a=3.54
O 1.42490 2.80139 -0.15331 -0.460 -0.212 -0.430 0.16
C 0.36233 3.32164 -0.21467 -0.167 0.783 0.793 -0.45
O 0.11094 4.49385 0.48444 -0.784 -1.319 -1.614 0.13
C -0.81525 2.79757 -1.09677 -1.396 -0.046 -1.221 -0.02
C -1.21724 3.62080 -2.23674 -0.767 -1.998 0.656 0.07
C -2.31162 3.19231 -3.07975 0.859 0.685 0.828 0.04
N -2.97883 2.02311 -2.79304 1.294 -0.045 1.208 0.11
C -2.62432 1.20278 -1.73766 1.510 0.869 0.855 0.02
C -1.53028 1.54059 -0.85363 -1.143 0.992 -1.581 -0.10
P -1.07800 0.38921 0.53071 1.904 -1.611 2.509 0.57
O -0.13393 0.95857 1.51772 -1.273 0.808 -1.267 -0.24
O -2.39249 -0.22209 1.33446 1.433 0.217 -3.046 -0.11
O -0.30295 -0.89880 -0.20000 -1.400 2.459 -0.346 -0.17
~~~

Outcome >
(1)
56
Properties=species:S:1:pos:R:3:forces:R:3:nbo_charge:R:1 method="wB97M-V/def2-TZVPD" smiles="CCCCC[PH3]S(=O)(=O)F.COCCOC.COCCOC" e_tot_ha=-1806.25524 largest_force_ev_per_a=8.41
C -0.63227 2.69265 3.28994 0.220 -1.064 0.947 -0.65
C 0.58525 1.60187 3.44734 -0.049 -0.166 -1.571 -0.41
C 2.04718 2.15902 2.85729 0.101 -1.674 0.670 -0.44
C 2.90134 3.01918 3.95914 0.895 -0.672 -0.180 -0.43
C 3.23420 4.56645 3.53533 0.782 -0.153 1.809 -0.77
P 1.85539 5.46193 2.56537 3.668 -2.005 2.603 0.56
S 0.41521 6.59898 1.43578 -0.869 7.150 -4.338 1.80
O 0.25369 7.99871 2.10381 -0.134 -5.338 -1.789 -0.87
O 0.99084 6.73637 -0.00164 -2.415 -1.282 4.728 -0.87
F -1.10565 5.78753 1.41241 2.111 1.114 -0.005 -0.51
H -0.51691 3.47007 4.16344 -0.399 -1.189 -1.934 0.20
H -1.64799 2.10407 3.47870 2.085 1.462 -0.533 0.23
H -0.62188 3.16662 2.21657 -0.105 -0.795 2.222 0.22
H 0.67390 1.19139 4.55014 -0.069 0.967 -2.240 0.21
H 0.30258 0.68737 2.73404 0.625 1.859 1.650 0.21
H 2.67700 1.16644 2.65020 -1.367 2.223 0.253 0.23
H 1.90917 2.67329 1.81569 0.157 -0.904 2.031 0.20
H 3.95737 2.47898 4.09502 -2.345 1.159 -0.219 0.22
H 2.35980 2.90031 5.00359 1.042 0.655 -2.143 0.22
H 4.27436 4.68913 2.97230 -2.219 -0.455 0.999 0.23
H 3.36845 5.16819 4.55746 -0.236 -1.122 -2.119 0.23
H 0.81701 5.06866 3.48277 0.344 0.251 -0.639 0.04
H 2.52777 6.73183 2.85578 -1.092 -0.664 -0.695 0.09
H 2.21029 4.79083 1.33523 -0.719 0.597 0.448 0.05
C 2.58197 -1.74167 0.84525 -0.155 0.178 0.129 -0.26
O 1.99053 -0.62426 0.19188 0.060 -0.402 -0.178 -0.56
C 1.95504 -0.78417 -1.22890 -0.445 0.243 0.220 -0.09
C 0.55238 -1.16176 -1.71079 0.412 -0.398 -0.054 -0.09
O 0.18991 -2.47614 -1.27547 -0.041 0.396 0.294 -0.56
C -0.70992 -2.45028 -0.17368 0.111 -0.158 -0.090 -0.26
H 2.41128 -1.63948 1.92158 0.001 0.098 -0.178 0.19
H 2.13941 -2.68500 0.51270 0.043 0.043 -0.029 0.18
H 3.65869 -1.75251 0.66181 0.081 -0.116 -0.008 0.17
H 2.69601 -1.52412 -1.55921 -0.185 0.025 0.062 0.18
H 2.22845 0.18048 -1.66406 -0.013 0.011 -0.057 0.19
H 0.54880 -1.17737 -2.80547 0.026 0.047 0.012 0.19
H -0.18903 -0.42127 -1.38321 0.152 -0.086 0.053 0.18
H -1.69728 -2.11914 -0.50877 -0.072 0.068 0.098 0.17
H -0.35122 -1.79532 0.62539 -0.026 0.021 -0.057 0.18
H -0.79761 -3.46518 0.22229 0.060 0.080 -0.141 0.19
C -3.88280 -2.83571 -5.19165 0.209 -0.137 -0.177 -0.25
O -2.55016 -3.10657 -4.77213 -0.435 -0.016 0.263 -0.55
C -2.42284 -3.11892 -3.34767 0.378 -0.333 -0.294 -0.10
C -2.34082 -4.54924 -2.80943 -0.470 0.309 0.145 -0.09
O -3.58174 -5.24117 -2.98213 0.337 0.010 -0.342 -0.55
C -3.54301 -6.15383 -4.07293 -0.151 0.075 0.144 -0.25
H -3.94811 -3.02237 -6.26820 0.128 0.044 0.174 0.19
H -4.60530 -3.48120 -4.68405 0.033 0.051 0.030 0.18
H -4.12603 -1.78761 -5.00346 -0.131 0.058 0.030 0.17
H -3.24703 -2.56835 -2.87517 0.007 -0.175 -0.064 0.17
H -1.49193 -2.59896 -3.10744 -0.009 -0.083 0.058 0.20
H -2.14645 -4.50937 -1.73276 0.033 0.021 -0.055 0.18
H -1.51549 -5.09998 -3.27936 -0.127 0.147 -0.024 0.18